The Culture of Health - The Next Big Thing in Engaging Employees
Inserted here: data records:
+++
# 1
Diffraction record for Pu4Ni13C4. The X-ray diffraction stick pattern is calculated, not measured: it uses a crystal structure in Alexandria, relaxed with PBE and Cu Kα X-rays.

The 10 most intense peaks (10° ≤ 2θ ≤ 90°), low angle first:
two_theta	d (Å)	I_rel	hkl
22.95	3.875	24	0 0 1
23.50	3.786	27	1 3 0
23.75	3.746	26	3 1 0
33.08	2.708	90	1 3 1
33.27	2.693	49	3 1 1
33.80	2.652	37	4 2 0
37.96	2.371	38	0 4 1
41.25	2.189	100	4 2 1
44.21	2.049	39	3 5 0
46.90	1.937	41	0 0 2

Structure:
```
data_Pu4Ni13C4
_symmetry_space_group_name_H-M 'C m m m'
_symmetry_Int_Tables_number 65
_symmetry_space_group_name_Hall '-C 2 2'
_cell_length_a 11.8293
_cell_length_b 11.9874
_cell_length_c 3.8747
_cell_angle_alpha 90.00
_cell_angle_beta 90.00
_cell_angle_gamma 90.00
loop_
_atom_site_label
_atom_site_fract_x
_atom_site_fract_y
_atom_site_fract_z
_atom_site_occupancy
Pu1 0.0000 0.1855 0.0000 1
Pu2 0.1467 0.5000 0.0000 1
Ni1 0.0000 0.0000 0.5000 1
Ni2 0.1076 0.3214 0.5000 1
Ni3 0.1268 0.0000 0.0000 1
Ni4 0.1828 0.1091 0.5000 1
Ni5 0.2500 0.2500 0.0000 1
C1 0.0000 0.4428 0.5000 1
C2 0.2500 0.2500 0.5000 1
```



# 2
Diffraction record for Tb2Ho13. The X-ray diffraction stick pattern is calculated, not measured: it uses a crystal structure in Alexandria, relaxed with PBE and Cu Kα X-rays.

The 10 most intense peaks (10° ≤ 2θ ≤ 90°), low angle first:
two_theta	d (Å)	I_rel	hkl
30.56	2.925	20	1 1 -2
32.28	2.774	100	1 3 1
32.36	2.767	26	2 1 2
37.82	2.379	8	0 1 -3
45.07	2.012	7	3 -1 0
45.15	2.008	7	1 0 4
47.46	1.916	10	1 3 -2
57.65	1.599	14	3 4 3
58.59	1.575	8	3 4 0
62.85	1.479	19	4 0 -2

Structure:
```
data_Tb2Ho13
_symmetry_space_group_name_H-M 'P -1'
_symmetry_Int_Tables_number 2
_symmetry_space_group_name_Hall '-P 1'
_cell_length_a 6.5503
_cell_length_b 8.6563
_cell_length_c 8.9062
_cell_angle_alpha 69.15
_cell_angle_beta 83.95
_cell_angle_gamma 80.72
loop_
_atom_site_label
_atom_site_fract_x
_atom_site_fract_y
_atom_site_fract_z
_atom_site_occupancy
Tb1 0.1987 0.3041 0.3977 1
Ho1 0.0000 0.5000 0.0000 1
Ho2 0.0959 0.9252 0.6921 1
Ho3 0.1339 0.6964 0.2670 1
Ho4 0.2376 0.0759 0.9753 1
Ho5 0.3337 0.4993 0.6673 1
Ho6 0.4295 0.9230 0.3592 1
Ho7 0.4663 0.6967 0.9341 1
```



# 3
Diffraction record for Si23C4. The X-ray diffraction stick pattern is calculated, not measured: it uses a crystal structure in Alexandria, relaxed with PBE and Cu Kα X-rays.

The 10 most intense peaks (10° ≤ 2θ ≤ 90°), low angle first:
two_theta	d (Å)	I_rel	hkl
19.56	4.537	52	2 1 0
21.45	4.142	35	2 1 1
30.52	2.929	35	2 2 2
31.80	2.814	30	3 2 0
33.03	2.712	100	3 2 1
36.51	2.461	30	4 1 0
52.60	1.740	74	5 3 0
53.43	1.715	25	5 3 1
54.24	1.691	23	6 0 0
55.86	1.646	44	5 3 2

Structure:
```
data_Si23C4
_symmetry_space_group_name_H-M 'P m -3 n'
_symmetry_Int_Tables_number 223
_symmetry_space_group_name_Hall '-P 4n 2 3'
_cell_length_a 10.1461
_cell_length_b 10.1461
_cell_length_c 10.1461
_cell_angle_alpha 90.00
_cell_angle_beta 90.00
_cell_angle_gamma 90.00
loop_
_atom_site_label
_atom_site_fract_x
+++
Almost all organisations race to keep their talented staff engaged, enthusiastic and productive. Of late, however, there seems to be a reduction in staff motivation, probably due to the lethargy of working from home and making the transition back to the office. As one acclimatises back to an office environment, one needs to also revisit the strategies for a healthier workplace culture.
=====
1.
The following is a simulated powder X-ray diffraction pattern of BeS3. It was derived from the PBE geometry in Alexandria, using λ = 1.5418 Å (Cu Kα).

Principal peaks in the range 15 to 90 degrees two-theta, most intense first:
d (Å)  2θ (°)  Rel. int.
4.161  21.35  100
3.962  22.44  38
3.263  27.33  38
2.648  33.85  23
2.423  37.10  23
1.786  51.14  17
1.768  51.71  16
3.943  22.55  15
4.087  21.74  15
1.633  56.36  12

Crystal structure
```
BeS3
1.0
8.138 0.000 0.000
0.000 3.572 0.000
-1.946 0.000 8.322
Be S
2 6
direct
0.069 0.250 0.481
0.931 0.750 0.519
0.184 0.750 0.520
0.192 0.250 0.981
0.319 0.750 0.054
0.681 0.250 0.946
0.808 0.750 0.019
0.816 0.250 0.480
```



2.
The following is a simulated powder X-ray diffraction pattern of Be3S. It was derived from the PBE geometry in Alexandria, using λ = 1.5418 Å (Cu Kα).

Principal peaks in the range 15 to 90 degrees two-theta, most intense first:
d (Å)  2θ (°)  Rel. int.
3.209  27.80  100
2.890  30.94  61
1.830  49.82  60
3.859  23.05  27
1.363  68.87  22
2.228  40.49  22
1.765  51.81  19
1.724  53.13  13
1.414  66.07  13
1.605  57.42  13

Crystal structure
```
Be3S
1.0
4.456 0.000 0.000
-2.228 3.859 0.000
0.000 0.000 5.780
Be S
6 2
direct
0.166 0.332 0.250
0.166 0.834 0.250
0.332 0.166 0.750
0.668 0.834 0.250
0.834 0.166 0.750
0.834 0.668 0.750
0.333 0.667 0.750
0.667 0.333 0.250
```



3.
The following is a simulated powder X-ray diffraction pattern of BeSnS. It was derived from the PBE geometry in Alexandria, using λ = 1.5418 Å (Cu Kα).

Principal peaks in the range 15 to 90 degrees two-theta, most intense first:
d (Å)  2θ (°)  Rel. int.
4.154  21.39  100
2.800  31.97  59
3.302  27.00  54
2.479  36.24  51
2.767  32.35  40
3.285  27.14  38
2.510  35.77  36
2.039  44.42  27
2.527  35.53  27
1.875  48.57  26

Crystal structure
```
BeSnS
1.0
4.163 -1.547 0.000
4.163 1.547 0.000
-0.617 0.000 9.906
Be Sn S
2 2 2
direct
0.000 0.000 0.000
0.569 0.569 0.840
0.287 0.287 0.751
0.731 0.731 0.091
0.697 0.697 0.504
0.843 0.843 0.356
```



4.
The following is a simulated powder X-ray diffraction pattern of UBeTl2S5. It was derived from the PBE geometry in Alexandria, using λ = 1.5418 Å (Cu Kα).

Principal peaks in the range 15 to 90 degrees two-theta, most intense first:
d (Å)  2θ (°)  Rel. int.
2.939  30.41  100
4.058  21.90  87
5.416  16.37  46
2.102  43.03  44
2.456  36.59  43
3.840  23.16  39
4.209  21.11  37
2.883  31.02  28
1.770  51.65  26
2.086  43.37  20

Crystal structure
```
UBeTl2S5
1.0
3.934 0.000 0.000
0.000 13.699 0.000
-1.956 0.000 8.846
U Be Tl S
2 2 4 10
direct
0.197 0.000 0.391
0.803 0.500 0.609
0.426 0.397 0.860
0.574 0.897 0.140
0.100 0.656 0.198
0.109 0.312 0.222
0.891 0.812 0.778
0.900 0.156 0.802
0.054 0.981 0.103
0.301 0.623 0.606
0.309 0.371 0.622
0.333 0.987 0.664
0.488 0.272 0.981
0.512 0.772 0.019
0.667 0.487 0.336
0.691 0.871 0.378
0.699 0.123 0.394
0.946 0.481 0.897
```



5.
=====
An emerging idea in engaging employees may well be the practice of a Culture of Health or COH. The concept of COH was initiated by the Robert Woods Johnson Foundation and Harvard University which uses a 4-pillar framework to examine organisational and societal well-being. One of those pillars is Employee Health.
So what Employee Health strategies can be implemented to engage employees? Here are some ideas.
Employee Emotional Wellbeing
This aspect can be enhanced by reducing stress through greater flexibility in the allocation and scheduling of work. For example, working from home can help reduce the stress from social interactions within a work environment. Employee assistance programmes can be provided for employees' access to counselling and psychological support. In addition, training on mental and emotional health awareness could also be offered and communicated organisation-wide.
Employee Physical Wellbeing
This can be promoted through providing access to healthcare such as medical coverage, insurance or even providing basic onsite medical facilities. Even sponsoring gym or sports memberships would also incentivise employees to adopt a healthier physical lifestyle. If the organisation offers cafeteria privileges, and promotes healthy employee lifestyles - these can be manifested through serving or providing healthy options in canteens and vending machines, optimising indoor environmental quality, and introducing health-related apps and platforms.
Employee Financial Wellbeing
Interestingly this aspect of well-being is something that is rarely considered but can be driven through strategies such as conducting financial literacy and financial management programmes which provides education and guidance for employees on financial issues ranging from managing one’s credit to preparing for retirement. Employee financial assistance programmes can be offered such as grants, study loans, and scholarships for education and training.
Organisations need to realise that the well-being of their people often translates into several business benefits including greater productivity, improved retention, employee engagement and an increase in the psychological contract between employees and their organisations. An emphasis on employee health and well-being also acts as a key factor in attracting talents and in enhancing the brand of the organisation. With well-developed and supported initiatives, the organisation’s wellness programmes will yield not only sustainable results but also a happy and productive workforce.
Covid-19 has been an eye-opener for many organisations on how they may reset the way employers and employees work together. Businesses that fail to grasp the opportunity of resetting this relationship run the risk of being left behind by competitors who use the culture of health as their competitive leverage to get ahead.
Vijaya Malar Arumugam
School of Hospitality and Service Management
Email: @email